Input >
-- begin --
Record 1
The molecule C4H11N3 in a non-equilibrium geometry. Source: OMol25; level of theory: ωB97M-V/def2-TZVPD.

The geometry in XYZ format:
```
18
Properties=species:S:1:pos:R:3:forces:R:3:nbo_charge:R:1
C 1.5100 0.7914 -0.3386 0.055 0.873 0.249 -0.1976
C 0.9730 -0.1978 0.7521 0.749 1.417 -1.445 -0.4439
C -0.4659 -0.4974 0.4740 0.161 0.347 0.379 0.1265
C -1.4113 0.2047 1.1025 -0.215 0.073 -0.329 -0.1134
N -2.7751 0.1167 0.7355 0.351 -0.502 0.060 -0.8613
N -0.7297 -1.2805 -0.6590 0.280 0.076 0.249 -0.8328
N 2.2440 0.1670 -1.4192 0.247 -0.381 0.337 -0.8520
H 0.6842 1.4528 -0.6280 -0.423 -0.479 -0.448 0.1629
H 2.1674 1.5562 0.0981 0.325 -0.505 0.353 0.1733
H 1.1040 0.3984 1.6433 -0.329 -0.395 0.655 0.2264
H 1.6756 -1.0294 0.7607 -0.237 -0.384 0.210 0.2104
H -1.1195 0.9972 1.7776 0.007 -0.210 0.337 0.1840
H -2.9431 0.2559 -0.2488 -0.283 0.298 0.066 0.3660
H -3.4121 0.5866 1.3523 -0.092 0.149 -0.228 0.3790
H -0.0747 -2.0448 -0.7371 -0.280 -0.219 -0.144 0.3698
H -1.6975 -1.5537 -0.7474 0.061 -0.273 0.078 0.3824
H 2.4264 0.7833 -2.1944 -0.133 -0.056 -0.121 0.3640
H 1.8443 -0.7067 -1.7235 -0.242 0.172 -0.258 0.3563
```
Positions in Å, forces in eV/Å.

Computed properties:
LUMO = 1.08 eV
Largest force on an atom = 2.158 eV/A
ΔE to the lowest compared entry with this formula, charge and spin = 1.669 eV
Calculated total energy = -8795.9501 eV
SMILES string = N/C=C(\N)CCN
HOMO level = -7.38 eV

---

Record 2
A structure of composition C32H37F6Ge2N3O3Sn. Source: OMol25; level of theory: ωB97M-V/def2-TZVPD.

The geometry in XYZ format:
```
84
Properties=species:S:1:pos:R:3:forces:R:3:mulliken_charge:R:1
Sn -0.9344 -1.3224 0.7935 0.049 -0.016 -0.015 -0.2040
O -3.4691 -4.2619 -0.7348 -0.012 0.011 0.011 -0.5398
C -2.8977 -3.2481 -0.4622 0.033 -0.024 -0.032 -0.2213
N -2.1391 -2.9961 0.6867 0.042 0.007 0.013 0.1730
C -2.0848 -3.9493 1.7105 0.030 -0.018 0.000 -0.1098
O -2.7388 -4.9464 1.7895 -0.013 0.006 -0.002 -0.5321
C -1.1084 -3.5911 2.8054 -0.002 0.008 -0.008 0.5804
C -1.0064 -4.3865 3.9284 -0.002 -0.002 0.004 -0.8146
C -0.1221 -4.0059 4.9265 -0.002 -0.002 -0.001 -0.5362
C 0.6190 -2.8415 4.7727 0.004 0.009 -0.002 -1.0590
C 0.4645 -2.1006 3.6192 0.000 0.001 -0.008 -0.2289
N -0.3770 -2.4803 2.6501 0.001 -0.029 -0.018 0.1538
C -2.9631 -2.0601 -1.3894 -0.008 0.006 0.010 0.3434
C -3.8461 -2.0489 -2.4507 -0.002 0.000 -0.006 -0.5776
C -3.9322 -0.8987 -3.2210 0.003 -0.001 0.004 -0.7515
C -3.1438 0.1986 -2.8971 -0.004 0.000 -0.005 -0.9979
C -2.2743 0.1022 -1.8291 0.002 -0.012 -0.013 -0.7747
N -2.1758 -1.0177 -1.1046 -0.003 0.017 0.007 1.0120
H -1.6197 -5.2740 3.9952 0.002 -0.001 0.001 0.6334
H -0.0149 -4.6077 5.8189 0.001 0.001 0.001 0.4645
H 1.3122 -2.5114 5.5329 0.001 -0.001 0.001 0.5169
H 1.0294 -1.1937 3.4490 0.006 0.001 -0.007 0.6841
H -4.4508 -2.9255 -2.6362 0.000 0.000 0.000 0.6349
H -4.6191 -0.8507 -4.0554 -0.001 -0.001 0.000 0.4794
H -3.2033 1.1177 -3.4627 0.002 0.001 0.003 0.5885
H -1.6441 0.9310 -1.5283 -0.003 0.004 -0.001 0.7853
C -1.4209 2.4590 4.2620 0.001 0.001 0.001 -1.3710
C -0.8974 1.1526 3.6521 0.012 0.006 -0.001 -0.4134
Ge -1.4382 1.0506 1.7800 -0.071 -0.006 -0.065 0.7736
C -3.3700 1.2402 1.5014 0.010 -0.002 0.005 -0.3399
C -3.7297 2.6677 1.0767 -0.003 0.003 0.003 -1.3755
C -0.3810 2.2291 0.6744 0.086 0.012 0.105 -0.6114
C 0.6051 2.0325 -0.2004 -0.065 -0.004 -0.062 1.1856
Ge 1.4531 0.5176 -1.1643 0.001 -0.011 -0.008 0.1811
C 0.7979 0.1957 -2.9864 -0.018 0.006 0.007 -0.2712
C 0.2472 1.3896 -3.7643 -0.002 -0.003 -0.006 -1.4685
C 3.3845 0.7700 -1.0205 -0.019 0.009 -0.013 -0.6839
C 3.8826 1.5276 -2.2601 0.016 -0.012 0.017 -1.2884
C 1.3795 3.2444 -0.6504 0.003 -0.017 0.019 -1.0702
C 2.4736 3.6631 0.1081 0.008 0.021 -0.002 -0.1404
C 3.2002 4.7808 -0.2676 0.000 -0.005 0.007 -0.8993
C 2.8387 5.4975 -1.4015 -0.001 -0.001 -0.001 -0.5762
C 1.7327 5.1069 -2.1404 -0.009 0.003 -0.012 -0.9054
C 1.0042 3.9850 -1.7675 -0.003 -0.007 0.004 -0.1021
H -1.1464 2.5226 5.3143 0.003 0.000 -0.001 0.4232
H -2.5085 2.5234 4.2065 0.000 -0.002 0.000 0.3246
-- stop --

Exercise >
Your job: return all of the contents further up without altering anything.

Response >
Record 1
The molecule C4H11N3 in a non-equilibrium geometry. Source: OMol25; level of theory: ωB97M-V/def2-TZVPD.

The geometry in XYZ format:
```
18
Properties=species:S:1:pos:R:3:forces:R:3:nbo_charge:R:1
C 1.5100 0.7914 -0.3386 0.055 0.873 0.249 -0.1976
C 0.9730 -0.1978 0.7521 0.749 1.417 -1.445 -0.4439
C -0.4659 -0.4974 0.4740 0.161 0.347 0.379 0.1265
C -1.4113 0.2047 1.1025 -0.215 0.073 -0.329 -0.1134
N -2.7751 0.1167 0.7355 0.351 -0.502 0.060 -0.8613
N -0.7297 -1.2805 -0.6590 0.280 0.076 0.249 -0.8328
N 2.2440 0.1670 -1.4192 0.247 -0.381 0.337 -0.8520
H 0.6842 1.4528 -0.6280 -0.423 -0.479 -0.448 0.1629
H 2.1674 1.5562 0.0981 0.325 -0.505 0.353 0.1733
H 1.1040 0.3984 1.6433 -0.329 -0.395 0.655 0.2264
H 1.6756 -1.0294 0.7607 -0.237 -0.384 0.210 0.2104
H -1.1195 0.9972 1.7776 0.007 -0.210 0.337 0.1840
H -2.9431 0.2559 -0.2488 -0.283 0.298 0.066 0.3660
H -3.4121 0.5866 1.3523 -0.092 0.149 -0.228 0.3790
H -0.0747 -2.0448 -0.7371 -0.280 -0.219 -0.144 0.3698
H -1.6975 -1.5537 -0.7474 0.061 -0.273 0.078 0.3824
H 2.4264 0.7833 -2.1944 -0.133 -0.056 -0.121 0.3640
H 1.8443 -0.7067 -1.7235 -0.242 0.172 -0.258 0.3563
```
Positions in Å, forces in eV/Å.

Computed properties:
LUMO = 1.08 eV
Largest force on an atom = 2.158 eV/A
ΔE to the lowest compared entry with this formula, charge and spin = 1.669 eV
Calculated total energy = -8795.9501 eV
SMILES string = N/C=C(\N)CCN
HOMO level = -7.38 eV

---

Record 2
A structure of composition C32H37F6Ge2N3O3Sn. Source: OMol25; level of theory: ωB97M-V/def2-TZVPD.

The geometry in XYZ format:
```
84
Properties=species:S:1:pos:R:3:forces:R:3:mulliken_charge:R:1
Sn -0.9344 -1.3224 0.7935 0.049 -0.016 -0.015 -0.2040
O -3.4691 -4.2619 -0.7348 -0.012 0.011 0.011 -0.5398
C -2.8977 -3.2481 -0.4622 0.033 -0.024 -0.032 -0.2213
N -2.1391 -2.9961 0.6867 0.042 0.007 0.013 0.1730
C -2.0848 -3.9493 1.7105 0.030 -0.018 0.000 -0.1098
O -2.7388 -4.9464 1.7895 -0.013 0.006 -0.002 -0.5321
C -1.1084 -3.5911 2.8054 -0.002 0.008 -0.008 0.5804
C -1.0064 -4.3865 3.9284 -0.002 -0.002 0.004 -0.8146
C -0.1221 -4.0059 4.9265 -0.002 -0.002 -0.001 -0.5362
C 0.6190 -2.8415 4.7727 0.004 0.009 -0.002 -1.0590
C 0.4645 -2.1006 3.6192 0.000 0.001 -0.008 -0.2289
N -0.3770 -2.4803 2.6501 0.001 -0.029 -0.018 0.1538
C -2.9631 -2.0601 -1.3894 -0.008 0.006 0.010 0.3434
C -3.8461 -2.0489 -2.4507 -0.002 0.000 -0.006 -0.5776
C -3.9322 -0.8987 -3.2210 0.003 -0.001 0.004 -0.7515
C -3.1438 0.1986 -2.8971 -0.004 0.000 -0.005 -0.9979
C -2.2743 0.1022 -1.8291 0.002 -0.012 -0.013 -0.7747
N -2.1758 -1.0177 -1.1046 -0.003 0.017 0.007 1.0120
H -1.6197 -5.2740 3.9952 0.002 -0.001 0.001 0.6334
H -0.0149 -4.6077 5.8189 0.001 0.001 0.001 0.4645
H 1.3122 -2.5114 5.5329 0.001 -0.001 0.001 0.5169
H 1.0294 -1.1937 3.4490 0.006 0.001 -0.007 0.6841
H -4.4508 -2.9255 -2.6362 0.000 0.000 0.000 0.6349
H -4.6191 -0.8507 -4.0554 -0.001 -0.001 0.000 0.4794
H -3.2033 1.1177 -3.4627 0.002 0.001 0.003 0.5885
H -1.6441 0.9310 -1.5283 -0.003 0.004 -0.001 0.7853
C -1.4209 2.4590 4.2620 0.001 0.001 0.001 -1.3710
C -0.8974 1.1526 3.6521 0.012 0.006 -0.001 -0.4134
Ge -1.4382 1.0506 1.7800 -0.071 -0.006 -0.065 0.7736
C -3.3700 1.2402 1.5014 0.010 -0.002 0.005 -0.3399
C -3.7297 2.6677 1.0767 -0.003 0.003 0.003 -1.3755
C -0.3810 2.2291 0.6744 0.086 0.012 0.105 -0.6114
C 0.6051 2.0325 -0.2004 -0.065 -0.004 -0.062 1.1856
Ge 1.4531 0.5176 -1.1643 0.001 -0.011 -0.008 0.1811
C 0.7979 0.1957 -2.9864 -0.018 0.006 0.007 -0.2712
C 0.2472 1.3896 -3.7643 -0.002 -0.003 -0.006 -1.4685
C 3.3845 0.7700 -1.0205 -0.019 0.009 -0.013 -0.6839
C 3.8826 1.5276 -2.2601 0.016 -0.012 0.017 -1.2884
C 1.3795 3.2444 -0.6504 0.003 -0.017 0.019 -1.0702
C 2.4736 3.6631 0.1081 0.008 0.021 -0.002 -0.1404
C 3.2002 4.7808 -0.2676 0.000 -0.005 0.007 -0.8993
C 2.8387 5.4975 -1.4015 -0.001 -0.001 -0.001 -0.5762
C 1.7327 5.1069 -2.1404 -0.009 0.003 -0.012 -0.9054
C 1.0042 3.9850 -1.7675 -0.003 -0.007 0.004 -0.1021
H -1.1464 2.5226 5.3143 0.003 0.000 -0.001 0.4232
H -2.5085 2.5234 4.2065 0.000 -0.002 0.000 0.3246